[To do]
The reader should find "0.84 -0.54" and "0.329 0.181" in the notes below, and reproduce these two lines and those between.

[Source]
+++
Here is a structure of composition C4H8O2 in a non-equilibrium geometry from OMol25. Energies are from the ωB97M-V functional and the def2-TZVPD basis.

Properties
Relative energy (zero: lowest compared OMol25 entry of this formula, charge and spin) ... 89.1 kcal per mole
HOMO energy ... -8.4 eV

Cartesian coordinates (Å):
C 0.84 -0.54 -0.70
C -0.15 0.67 -0.23
C -0.19 0.98 1.25
C -1.13 -0.38 -0.72
O 1.29 -1.39 0.32
O -1.77 -0.26 -1.79
H 0.92 -2.27 0.17
H 0.99 -0.84 -1.74
H -1.47 -1.09 0.07
H -0.16 1.53 -0.90
H 1.47 0.44 -0.61
H -1.17 1.38 1.50
H -0.05 0.08 1.86
H 0.59 1.70 1.53

~~~~~

Entry 1:
DFT (ωB97M-V/def2-TZVPD) results for a 2-piece molecular cluster, CH3ClF2 overall.

XYZ file:
```
7
Properties=species:S:1:pos:R:3:forces:R:3
F 0.4605 1.3373 -0.2085 0.426 0.175 -0.064
C 0.8302 0.0498 0.0014 -0.027 -0.450 0.060
F 2.0833 -0.1344 -0.4828 0.225 0.107 -0.039
H 0.1416 -0.6080 -0.5378 0.472 0.144 0.089
H 0.8356 -0.1442 1.0777 0.037 0.071 -0.055
Cl -2.0490 0.2058 -0.3547 -1.017 -0.006 0.022
H -2.3022 -0.7064 0.5046 -0.115 -0.042 -0.014
```
Forces are in eV/Å.

Calculated values
Charge ... 0
Orbital gap ... 12.3 eV
SMILES ... FCF.Cl
HOMO level ... -11.64 eV
Molar mass ... 88.484 g mol⁻¹

Charges in e, computed with Löwdin, in the same order as the atoms: -0.05, -0.35, 0.01, 0.05, 0.12, 0.42, -0.20

Entry 2:
DFT (ωB97M-V/def2-TZVPD) results for C18H27ClNO4P2Yb as an isolated structure.

XYZ file:
```
54
Properties=species:S:1:pos:R:3:forces:R:3
Yb -0.7459 -0.2215 -0.6644 1.476 -0.652 -1.572
P -0.2121 2.6192 -1.0030 -0.480 1.175 -0.068
C 0.5286 2.2971 -2.5931 -0.585 -0.857 -1.368
C 1.2725 1.1244 -2.9222 0.125 -0.649 -0.562
N 1.3398 0.0627 -2.0308 0.218 0.667 0.216
C 2.2847 -0.8753 -2.1840 -0.409 0.040 0.278
C 3.1294 -0.9028 -3.3009 -0.256 -0.074 0.008
C 2.9232 0.0167 -4.3253 0.219 0.015 -0.078
C 1.9718 1.0075 -4.1638 -0.017 0.576 0.871
C 2.4420 -1.8902 -1.0586 0.672 0.340 -0.386
P 0.9111 -2.5180 -0.2956 0.023 -0.741 -0.253
H 1.8586 1.8012 -4.8883 -0.024 -0.058 -0.118
H 3.8926 -1.6689 -3.3641 -0.015 0.113 -0.057
H 3.5534 0.0021 -5.2203 -0.343 -0.082 0.310
H 3.0108 -2.7497 -1.4377 0.052 0.202 0.238
H 3.0109 -1.4163 -0.2411 0.008 -0.093 -0.331
H -3.4423 -1.0727 -2.1116 -0.191 -0.886 -0.249
H 0.2197 2.9432 -3.4339 0.530 -0.193 0.436
H -2.5944 -5.3238 -1.4071 -0.136 -0.991 -0.116
O -3.0722 -0.2707 -1.7571 -0.006 1.110 0.224
H -3.7508 0.3969 -1.9883 0.573 -0.258 0.227
H -2.1919 0.4866 0.5865 -0.824 0.390 1.898
O -2.5772 -4.3782 -1.3765 -0.115 1.193 0.239
H -2.8738 -4.1500 -0.4885 -0.126 -0.199 -0.029
C 0.5032 -3.8492 -1.4683 -0.380 -0.195 -0.033
H 1.1657 -4.7037 -1.2777 -0.150 0.188 -0.255
H -0.5517 -4.1498 -1.3499 0.612 0.053 -0.140
H 0.6471 -3.4798 -2.4892 -0.058 -0.146 0.053
C 1.5796 -3.4861 1.1065 -0.129 0.208 0.436
H 0.7699 -3.6561 1.8323 0.359 -0.061 -0.168
H 1.9701 -4.4570 0.7610 -0.097 0.449 0.132
H 2.3778 -2.9137 1.6038 -0.291 -0.242 -0.075
C 0.9339 3.9581 -0.4622 0.253 -0.280 0.614
H 0.6670 4.8905 -0.9869 0.244 -0.439 0.167
H 0.8656 4.1119 0.6294 0.116 -0.002 -0.502
H 1.9454 3.6172 -0.7360 -0.286 0.398 0.287
C -1.6675 3.6785 -1.4447 -0.113 -0.245 -0.020
H -2.1688 4.0097 -0.5222 0.179 -0.145 -0.234
H -1.3552 4.5808 -1.9929 -0.122 -0.398 0.049
H -2.3902 3.0969 -2.0384 0.183 0.315 0.121
Cl -1.7597 2.0879 7.6935 0.172 -0.070 -0.359
C -1.4262 1.5214 6.1048 -0.125 0.009 -0.819
C -0.2424 1.8778 5.4377 0.026 -0.327 -0.192
C 0.0109 1.3989 4.1492 -0.080 0.444 0.437
C -0.9812 0.6697 3.4749 0.101 -0.235 -0.277
C -2.1353 0.2735 4.1504 -0.588 0.444 0.464
C -2.3772 0.7304 5.4460 0.189 -0.233 -0.250
C -0.8082 0.3554 2.0638 1.624 -0.664 -0.087
O 0.2608 0.3147 1.4375 -1.762 0.475 0.739
O -1.9695 -0.0813 1.3678 -0.135 0.540 -0.137
H 0.4483 2.5447 5.9383 0.143 -0.205 -0.052
H 0.9569 1.6085 3.6490 -0.319 0.155 0.133
H -2.8442 -0.3820 3.6489 -0.037 0.329 0.181
H -3.3132 0.5129 5.9431 0.102 -0.206 0.024
```
Forces are in eV/Å.

Calculated values
Charge ... +2
Spin multiplicity ... 2
Orbital gap (spin up / spin down) ... 7.7 / 6.8 eV
+++

[Response]
C 0.84 -0.54 -0.70
C -0.15 0.67 -0.23
C -0.19 0.98 1.25
C -1.13 -0.38 -0.72
O 1.29 -1.39 0.32
O -1.77 -0.26 -1.79
H 0.92 -2.27 0.17
H 0.99 -0.84 -1.74
H -1.47 -1.09 0.07
H -0.16 1.53 -0.90
H 1.47 0.44 -0.61
H -1.17 1.38 1.50
H -0.05 0.08 1.86
H 0.59 1.70 1.53

~~~~~

Entry 1:
DFT (ωB97M-V/def2-TZVPD) results for a 2-piece molecular cluster, CH3ClF2 overall.

XYZ file:
```
7
Properties=species:S:1:pos:R:3:forces:R:3
F 0.4605 1.3373 -0.2085 0.426 0.175 -0.064
C 0.8302 0.0498 0.0014 -0.027 -0.450 0.060
F 2.0833 -0.1344 -0.4828 0.225 0.107 -0.039
H 0.1416 -0.6080 -0.5378 0.472 0.144 0.089
H 0.8356 -0.1442 1.0777 0.037 0.071 -0.055
Cl -2.0490 0.2058 -0.3547 -1.017 -0.006 0.022
H -2.3022 -0.7064 0.5046 -0.115 -0.042 -0.014
```
Forces are in eV/Å.

Calculated values
Charge ... 0
Orbital gap ... 12.3 eV
SMILES ... FCF.Cl
HOMO level ... -11.64 eV
Molar mass ... 88.484 g mol⁻¹

Charges in e, computed with Löwdin, in the same order as the atoms: -0.05, -0.35, 0.01, 0.05, 0.12, 0.42, -0.20

Entry 2:
DFT (ωB97M-V/def2-TZVPD) results for C18H27ClNO4P2Yb as an isolated structure.

XYZ file:
```
54
Properties=species:S:1:pos:R:3:forces:R:3
Yb -0.7459 -0.2215 -0.6644 1.476 -0.652 -1.572
P -0.2121 2.6192 -1.0030 -0.480 1.175 -0.068
C 0.5286 2.2971 -2.5931 -0.585 -0.857 -1.368
C 1.2725 1.1244 -2.9222 0.125 -0.649 -0.562
N 1.3398 0.0627 -2.0308 0.218 0.667 0.216
C 2.2847 -0.8753 -2.1840 -0.409 0.040 0.278
C 3.1294 -0.9028 -3.3009 -0.256 -0.074 0.008
C 2.9232 0.0167 -4.3253 0.219 0.015 -0.078
C 1.9718 1.0075 -4.1638 -0.017 0.576 0.871
C 2.4420 -1.8902 -1.0586 0.672 0.340 -0.386
P 0.9111 -2.5180 -0.2956 0.023 -0.741 -0.253
H 1.8586 1.8012 -4.8883 -0.024 -0.058 -0.118
H 3.8926 -1.6689 -3.3641 -0.015 0.113 -0.057
H 3.5534 0.0021 -5.2203 -0.343 -0.082 0.310
H 3.0108 -2.7497 -1.4377 0.052 0.202 0.238
H 3.0109 -1.4163 -0.2411 0.008 -0.093 -0.331
H -3.4423 -1.0727 -2.1116 -0.191 -0.886 -0.249
H 0.2197 2.9432 -3.4339 0.530 -0.193 0.436
H -2.5944 -5.3238 -1.4071 -0.136 -0.991 -0.116
O -3.0722 -0.2707 -1.7571 -0.006 1.110 0.224
H -3.7508 0.3969 -1.9883 0.573 -0.258 0.227
H -2.1919 0.4866 0.5865 -0.824 0.390 1.898
O -2.5772 -4.3782 -1.3765 -0.115 1.193 0.239
H -2.8738 -4.1500 -0.4885 -0.126 -0.199 -0.029
C 0.5032 -3.8492 -1.4683 -0.380 -0.195 -0.033
H 1.1657 -4.7037 -1.2777 -0.150 0.188 -0.255
H -0.5517 -4.1498 -1.3499 0.612 0.053 -0.140
H 0.6471 -3.4798 -2.4892 -0.058 -0.146 0.053
C 1.5796 -3.4861 1.1065 -0.129 0.208 0.436
H 0.7699 -3.6561 1.8323 0.359 -0.061 -0.168
H 1.9701 -4.4570 0.7610 -0.097 0.449 0.132
H 2.3778 -2.9137 1.6038 -0.291 -0.242 -0.075
C 0.9339 3.9581 -0.4622 0.253 -0.280 0.614
H 0.6670 4.8905 -0.9869 0.244 -0.439 0.167
H 0.8656 4.1119 0.6294 0.116 -0.002 -0.502
H 1.9454 3.6172 -0.7360 -0.286 0.398 0.287
C -1.6675 3.6785 -1.4447 -0.113 -0.245 -0.020
H -2.1688 4.0097 -0.5222 0.179 -0.145 -0.234
H -1.3552 4.5808 -1.9929 -0.122 -0.398 0.049
H -2.3902 3.0969 -2.0384 0.183 0.315 0.121
Cl -1.7597 2.0879 7.6935 0.172 -0.070 -0.359
C -1.4262 1.5214 6.1048 -0.125 0.009 -0.819
C -0.2424 1.8778 5.4377 0.026 -0.327 -0.192
C 0.0109 1.3989 4.1492 -0.080 0.444 0.437
C -0.9812 0.6697 3.4749 0.101 -0.235 -0.277
C -2.1353 0.2735 4.1504 -0.588 0.444 0.464
C -2.3772 0.7304 5.4460 0.189 -0.233 -0.250
C -0.8082 0.3554 2.0638 1.624 -0.664 -0.087
O 0.2608 0.3147 1.4375 -1.762 0.475 0.739
O -1.9695 -0.0813 1.3678 -0.135 0.540 -0.137
H 0.4483 2.5447 5.9383 0.143 -0.205 -0.052
H 0.9569 1.6085 3.6490 -0.319 0.155 0.133
H -2.8442 -0.3820 3.6489 -0.037 0.329 0.181